Brief:
Your job: count the lines below that contain the word "gamma" and give the number alone.

Excerpt:
+++
Computed powder diffraction line list
Compound: CeSe2
Radiation: Cu Kα, 1.54184 Å
Structure: a crystal structure in the Materials Project, relaxed with PBE

Cell and atoms:
Unit cell a=12.154 b=20.963 c=12.100 alpha=90.00 beta=119.85 gamma=90.00
Space group C2/c (No. 15)
One atom of each set of equivalent atoms:
Ce: 0.006 0.158 0.039 (multiplicity 8)
Ce: 0.142 0.391 0.073 (multiplicity 8)
Se: 0.000 0.117 0.250 (multiplicity 4)
Se: 0.000 0.500 0.000 (multiplicity 4)
Se: 0.011 0.288 0.472 (multiplicity 8)
Se: 0.192 0.104 0.671 (multiplicity 8)
Se: 0.231 0.125 0.057 (multiplicity 8)

Top 6 peaks for 5° ≤ 2θ ≤ 70°, low angle first:
hkl, Position (°2θ), d/Å, Rel. int.
1 1 1, 15.20, 5.830, 33
0 4 0, 16.89, 5.249, 100
1 3 1, 19.37, 4.583, 11
1 1 -5, 39.62, 2.275, 14
1 9 -2, 41.51, 2.175, 11
1 9 2, 45.11, 2.010, 15

=====

Computed powder diffraction line list
Compound: RbLiMg6
Radiation: Cu Kα, 1.54184 Å
Structure: a crystal structure in the Materials Project, relaxed with PBE

Cell and atoms:
Unit cell a=5.310 b=7.036 c=11.880 alpha=90.00 beta=90.00 gamma=90.00
Space group Amm2 (No. 38)
One atom of each set of equivalent atoms:
Rb: 0.000 0.000 0.000 (multiplicity 2)
Li: 0.500 0.000 0.176 (multiplicity 2)
Mg: 0.000 0.000 0.489 (multiplicity 2)
Mg: 0.000 0.249 0.747 (multiplicity 4)
Mg: 0.500 0.000 0.659 (multiplicity 2)
Mg: 0.500 0.218 0.396 (multiplicity 4)

Top 6 peaks for 5° ≤ 2θ ≤ 70°, low angle first:
hkl, Position (°2θ), d/Å, Rel. int.
1 1 1, 22.27, 3.992, 47
0 2 2, 29.51, 3.027, 42
2 0 0, 33.76, 2.655, 37
1 2 2, 34.10, 2.630, 100
1 0 4, 34.61, 2.592, 60
2 2 2, 45.44, 1.996, 24

=====

Computed powder diffraction line list
Compound: ZnGeN2
Radiation: Cu Kα, 1.54184 Å
Structure: a crystal structure in the Materials Project, relaxed with PBE

Cell and atoms:
Unit cell a=3.2135 b=3.2135 c=5.3510 alpha=90.00 beta=90.00 gamma=120.00
Space group P3m1 (No. 156)
One atom of each set of equivalent atoms:
Zn: 0.0000 0.0000 0.0000 (multiplicity 1)
Ge: 0.3333 0.6667 0.4680 (multiplicity 1)
N: 0.0000 0.0000 0.6047 (multiplicity 1)
N: 0.3333 0.6667 0.1321 (multiplicity 1)

Top 6 peaks for 5° ≤ 2θ ≤ 70°, low angle first:
hkl, Position (°2θ), d/Å, Rel. int.
1 0 0, 32.16, 2.783, 42
0 0 2, 33.49, 2.676, 34
0 1 1, 36.39, 2.469, 100
1 1 0, 57.34, 1.607, 29
0 1 3, 61.78, 1.502, 30
1 1 2, 68.07, 1.377, 24

=====

Computed powder diffraction line list
Compound: TePb2Se
Radiation: Cu Kα, 1.54184 Å
Structure: a crystal structure in the Materials Project, relaxed with PBE

Cell and atoms:
Unit cell a=4.5231 b=4.5231 c=22.1474 alpha=90.00 beta=90.00 gamma=120.00
Space group R-3m (No. 166, hexagonal axes)
One atom of each set of equivalent atoms:
Te: 0.0000 0.0000 0.0000 (multiplicity 3)
Pb: 0.0000 0.0000 0.2450 (multiplicity 6)
Se: 0.0000 0.0000 0.5000 (multiplicity 3)

Top 6 peaks for 5° ≤ 2θ ≤ 70°, low angle first:
hkl, Position (°2θ), d/Å, Rel. int.
0 1 2, 24.10, 3.692, 20
1 0 4, 27.90, 3.198, 100
1 1 0, 39.87, 2.261, 77
0 2 4, 49.36, 1.846, 28
2 0 8, 57.65, 1.599, 13
2 1 4, 65.24, 1.430, 36

=====

Computed powder diffraction line list
Compound: RbMg14SbO16
Radiation: Cu Kα, 1.54184 Å
Structure: a crystal structure in the Materials Project, relaxed with PBE

Cell and atoms:
Unit cell a=8.779 b=8.779 c=4.537 alpha=90.00 beta=90.00 gamma=90.00
Space group P4/mmm (No. 123)
One atom of each set of equivalent atoms:
Rb: 0.000 0.000 0.000 (multiplicity 1)
Mg: 0.000 0.252 0.500 (multiplicity 4)
Mg: 0.000 0.500 0.000 (multiplicity 2)
Mg: 0.237 0.500 0.500 (multiplicity 4)
Mg: 0.244 0.244 0.000 (multiplicity 4)
Sb: 0.500 0.500 0.000 (multiplicity 1)
O: 0.000 0.000 0.500 (multiplicity 1)
O: 0.000 0.280 0.000 (multiplicity 4)
O: 0.000 0.500 0.500 (multiplicity 2)
O: 0.243 0.500 0.000 (multiplicity 4)
O: 0.252 0.252 0.500 (multiplicity 4)
O: 0.500 0.500 0.500 (multiplicity 1)

Top 6 peaks for 5° ≤ 2θ ≤ 70°, low angle first:
hkl, Position (°2θ), d/Å, Rel. int.
1 1 0, 14.27, 6.208, 34
2 2 1, 35.03, 2.562, 44
0 0 2, 39.74, 2.268, 57
4 0 0, 41.13, 2.195, 100
+++

Completed:
5